River revival is in good flow

Fish stocks and fish diversity are increasing in some English rivers following the work of community groups

Early results from ten pilot projects to improve Britain’s rivers for fish and wildlife are proving highly successful in increasing species counts and fish populations, according to the government’s Environment Agency.

The Environment Agency has allocated money from a £24.5m Catchment Restoration Fund to small community groups to help them transform rivers to standards required by the European Water Framework Directive 2000. EU member countries need to bring rivers, lakes, groundwater, estuaries and coasts up to ‘good ecological status’ by 2027.

The river section of the directive carries a number of measures, including improving fish passage and water quality, which it states have suffered over the last fifty years because of man-made interventions.

By nature, most freshwater fish like to move between different habitats seasonally to spawn, over winter, and shelter from inhospitable conditions such as flood and drought. But fish passage has been hampered by weirs, flood defences, flow-gauging structures, diversions and navigations, as well as the raising and lowering of water levels, according to Sally Chadwick, biodiversity specialist from the Environment Agency.

In addition, water quality has been affected by sewage treatment, industry, road run-off and agricultural fertilisers. And new industry and development has led to a loss of river habitats such as wetlands and broadleaf woodland.

Around the country there are one hundred catchment areas. “Work is being undertaken in all of these to understand the situation in terms of water quality, invertebrates, fish and plant populations as well as the flows and structure of the water body,” says Chadwick.

“Restoring the country’s rivers is a mammoth task, but the agency is being helped by enthusiastic and committed local groups”

Restoring the country’s rivers is a mammoth task, but the agency is being helped by enthusiastic and committed local groups who have initiated projects using government funding, as of April 2012. The work involves everything from reducing water extraction, removing weirs, getting water companies to improve treatment standards at sewage works and working with farmers or urban councils to reduce pollutants entering water.

One of the pilot schemes, run by the Ouse & Adur Rivers Trust (OART) in Sussex, demonstrates the good progress being made. The Trust had been conserving the rivers on a voluntary basis for years, using extensive local knowledge from retired members like Jim Smith, who has had a lifelong association with the river Ouse.

Now, following surveys, funding of £500,000 and assistance in dealing with the planning authorities, the Trust is well on the way to removing four weirs on a stretch of the river in East Sussex.

“Local groups look after small local rivers, but it’s the myriad of tiny rivers that are the target of this huge project,” says Peter King, the Trust’s only paid employee.

Though rivers are nationally owned, the land through which they run is often private, and interventions have been made for all sorts of reasons by various different stakeholders. All these issues have to be addressed as part of the project.

“The problems are man-made, but you can’t simply reverse them without thinking about the consequences for both the river, the landowners and the users,” explains King. “A lot of my time is spent negotiating with landowners and local user groups to ensure that when the project is finished, the river is improved but also that everyone is happy.”

At a nearby site in Fletching, the removal of a weir had dramatic effects on the fish populations. In 2009 only five species of fish were found in the river. A 2012 survey showed there were twelve species thriving with significantly higher numbers. Populations have also increased beyond expectation. In 2009, only one Dace fish was caught, whereas in 2012 that number had increased to more than one hundred.

+++
Formula: C35H78BO19P4Si
Source: the Open Molecules 2025 dataset
Level of theory: ωB97M-V with the def2-TZVPD basis set

Positions of all 138 atoms, in Å:
C 8.60908 4.21163 -1.27325
C 8.63686 3.46742 -2.71045
C 8.14175 1.94119 -2.56163
B 6.77107 1.76859 -1.64714
O 6.25589 0.40097 -1.88752
C 4.81104 0.52044 -2.03596
C 3.92565 -0.68496 -1.45094
C 2.55774 -0.76403 -2.29907
C 1.23126 -0.89922 -1.38452
C -0.00066 -0.25835 -2.24326
C -1.41875 -0.90631 -1.87834
C -2.68636 0.00969 -2.22391
C -3.02005 1.10988 -1.06592
C -4.07889 2.16391 -1.66786
Si -3.69387 4.00172 -1.30373
C -3.31820 4.39648 0.53101
C -5.31716 4.98586 -1.73530
C -2.35640 4.63744 -2.54369
C -1.16712 3.68403 -2.89760
C -0.03838 4.01033 -3.89325
C -0.04854 5.41068 -4.59297
C -1.21213 6.36362 -4.26197
C -2.36361 6.03384 -3.26113
C 4.38312 2.04950 -1.73732
C 3.88545 2.46463 -0.27275
O 3.72200 3.92313 -0.25355
C 2.42689 4.22873 0.35116
O 5.66232 2.70465 -2.00031
H 9.39586 5.05474 -1.32085
H 8.94705 3.47333 -0.47385
H 7.57815 4.61713 -1.00620
H 8.10745 4.06195 -3.52627
H 9.75477 3.43293 -3.01650
H 8.98596 1.39034 -1.99033
H 7.94884 1.46101 -3.58460
H 7.03811 1.85463 -0.46946
H 4.65356 0.42698 -3.17616
H 3.71395 -0.61621 -0.33173
H 4.50242 -1.66572 -1.65120
H 2.48614 0.19761 -2.91639
H 2.53737 -1.64620 -3.02598
H 1.01886 -1.98719 -1.06348
H 1.36358 -0.19151 -0.48173
H 0.28944 -0.43746 -3.34816
H 0.07268 0.86939 -2.07953
H -1.39486 -1.25405 -0.77637
H -1.52288 -1.86049 -2.52475
H -3.60379 -0.69712 -2.21839
H -2.65555 0.47016 -3.26757
H -3.57729 0.51152 -0.25113
H -2.06151 1.59556 -0.68434
H -4.06687 2.04417 -2.81921
H -5.16216 1.97722 -1.31171
H -4.22025 4.02270 1.15119
H -2.35808 3.93811 0.94024
H -3.25675 5.53204 0.74240
H -5.26352 5.30723 -2.82704
H -6.17479 4.27831 -1.48402
H -5.36040 5.92129 -1.07890
H -1.14829 2.67816 -2.37091
H 0.77373 3.23078 -4.11087
H 0.77581 5.71706 -5.33191
H -1.27407 7.39016 -4.77633
H -3.20167 6.76977 -3.03120
H 3.64179 2.51082 -2.49201
H 2.89538 1.94692 0.03101
H 4.66312 2.10855 0.50472
H 2.25799 5.36645 0.33772
H 2.39531 3.80350 1.42548
H 1.57879 3.72405 -0.23803
C -7.20853 12.79178 1.23470
O -7.33385 11.92474 0.10833
P -6.27163 10.56934 0.12515
O -6.67045 10.19710 -1.29892
O -7.22466 9.79680 1.20984
C -8.52738 9.39686 0.81263
O -5.12740 9.29896 0.25492
C -4.25142 9.10253 -0.84439
H -7.87443 13.64432 1.09351
H -7.49689 12.26873 2.15101
H -6.18110 13.15203 1.32189
H -8.73766 9.59481 -0.23834
H -9.25678 9.93613 1.42308
H -8.63662 8.32749 1.00128
H -3.93115 10.05945 -1.26269
H -4.74278 8.49845 -1.61022
H -3.37339 8.55669 -0.49446
C -1.41014 -1.51625 4.39118
O -1.14032 -2.27473 3.21305
P 0.32211 -3.18228 3.26403
O 0.18655 -3.54508 1.79002
O -0.39046 -4.31918 4.20382
C -1.44214 -5.09753 3.65510
O 1.81510 -4.00583 3.44073
C 2.78996 -3.80566 2.42493
H -2.31812 -0.93339 4.22957
H -1.56741 -2.18237 5.24445
H -0.58183 -0.83582 4.60049
H -1.62792 -4.89463 2.60034
H -2.35629 -4.88746 4.21687
H -1.19480 -6.15418 3.77351
H 2.80052 -2.76577 2.09052
H 2.59068 -4.47075 1.58194
+++

There is plenty of goodwill towards the local trusts whose members give up their spare time to look after the countryside, another reason why the bottom-up approach is working. And with a large number of people having a say – particularly those who know the areas well – the positive outcomes increase, says Peter King.

“We are pleased to have been able to create new wetlands at the same time as fulfilling the primary goals of the Directive,” he says.